This term Alsop High School has taken a different approach to homework with the introduction of Knowledge Organisers for every year group.

The introduction of Knowledge Organisers at Alsop is an important component of the newly created five-year curriculum where powerful knowledge is explicit and identifies what students must know, understand and do in each subject. This includes the building of effective revision strategies into homework and lessons.

The extensive work undertaken around the curriculum design and teaching and learning is underpinned by research-based evidence. Regular retrieval practice using the look-cover- write-check technique, done in regular small chunks is one of the most effective ways students can learn relevant knowledge over time and more likely to be committed to memory.

Unrelated to this text: crystal structures:
........
# 1
Entry from the Alexandria database: Ca2Hf4P3N2 after structural relaxation (PBE-GGA).

a b c (Å): 4.298 4.298 11.332
angles (deg): 100.93 100.93 90.00
Sites, in units of the cell vectors:
Hf 0.076 0.576 0.151
Hf 0.576 0.076 0.151
Hf 0.924 0.424 0.849
Hf 0.424 0.924 0.849
P 0.000 0.000 0.000
P 0.835 0.835 0.670
P 0.165 0.165 0.330
N 0.410 0.410 0.820
N 0.590 0.590 0.180
Ca 0.697 0.697 0.395
Ca 0.303 0.303 0.605

Calculated values
ΔE_f (raw), eV per atom: -1.18

# 2
Entry from the Alexandria database: CuHgTe2 after structural relaxation (PBE-GGA).

a b c (Å): 7.277 7.277 7.277
angles (deg): 147.89 147.89 46.05
Sites, in units of the cell vectors:
Te 0.000 0.000 0.000
Te 0.250 0.750 0.500
........

At the start of each term, every Alsop student is given a Knowledge Organiser. These include the key knowledge across each subject area. Alsop Knowledge Organisers identify the exact facts, dates, events, characters, concepts and precise definitions that students need to remember for the topics or unit.

== The article is interrupted by records of crystals ==
┌──
VASP calculation (GGA-PBE) on an optimized crystal structure of MgBPt3.

Values from the calculation:
DFT total energy = -5.662 eV/atom
formation energy = -0.383 eV per atom
E above lowest polymorph = 202 meV per atom

Cell lengths 10.321, 7.491, 7.491 Å; angles 85.69, 125.46, 54.54 degrees
Atoms (fractional coordinates):
1 Pt 0.960 0.263 0.950
2 Pt 0.534 0.165 0.515
3 Pt 0.034 0.985 0.335
4 Pt 0.040 0.737 0.050
5 Pt 0.966 0.015 0.665
6 Pt 0.318 0.166 0.060
7 Pt 0.466 0.835 0.485
8 Pt 0.818 0.440 0.334
9 Pt 0.182 0.560 0.666
10 Pt 0.540 0.450 0.763
11 Pt 0.460 0.550 0.237
12 Pt 0.682 0.834 0.940
13 Mg 0.837 0.670 0.604
14 Mg 0.337 0.896 0.830
15 Mg 0.663 0.104 0.170
16 Mg 0.163 0.330 0.396
17 B 0.250 0.791 0.291
18 B 0.750 0.501 0.001
19 B 0.250 0.499 0.999
20 B 0.750 0.209 0.709

VASP calculation (GGA-PBE) on an optimized crystal structure of MgBPt3.

Values from the calculation:
DFT total energy = -4.755 eV/atom
formation energy = 0.524 eV per atom
E above lowest polymorph = 1108 meV per atom

Cell lengths 4.775, 4.775, 9.756 Å; angles 75.83, 75.83, 90.00 degrees
Atoms (fractional coordinates):
1 Mg 0.250 0.750 0.500
2 Mg 0.000 0.000 0.000
3 Pt 0.655 0.655 0.689
4 Pt 0.624 0.870 0.260
5 Pt 0.345 0.345 0.311
6 Pt 0.116 0.870 0.260
7 Pt 0.130 0.376 0.740
8 Pt 0.130 0.884 0.740
9 B 0.701 0.201 0.598
10 B 0.799 0.299 0.402

VASP calculation (GGA-PBE) on an optimized crystal structure of MgBPt3.

Values from the calculation:
DFT total energy = -5.626 eV/atom
formation energy = -0.347 eV per atom
E above lowest polymorph = 238 meV per atom

Cell lengths 17.958, 7.447, 7.447 Å; angles 149.35, 157.25, 22.75 degrees
Atoms (fractional coordinates):
1 Mg 0.192 0.982 0.018
2 Mg 0.808 0.018 0.982
3 Pt 0.989 0.610 0.390
4 Pt 0.315 0.651 0.349
5 Pt 0.328 0.440 0.560
6 Pt 0.685 0.349 0.651
7 Pt 0.011 0.390 0.610
8 Pt 0.672 0.560 0.440
9 B 0.378 0.013 0.987
10 B 0.622 0.987 0.013

* * * * *

Density functional theory data (PBE with a Hubbard U) for a relaxed CsTbVF6 crystal.

abc: 8.2458 7.8977 8.0116
angles: 119.53 120.97 90.00
Site moments in Bohr magnetons follow the coordinates.
Sites, in units of the cell vectors:
V (0.5000, 0.0000, 0.0000)  2.76
F (0.4461, 0.0866, 0.2600)  0.00
F (0.1861, 0.9134, 0.7400)  0.00
F (0.1739, 0.9239, 0.3477)  0.00
Cs (0.8245, 0.5745, 0.6491)  0.00
F (0.5606, 0.3106, 0.1212)  0.01
V (0.5000, 0.5000, 0.0000)  2.76
Cs (0.1755, 0.4255, 0.3509)  0.00
F (0.8139, 0.0866, 0.2600)  0.00
F (0.4461, 0.6734, 0.2600)  0.00
F (0.4394, 0.6894, 0.8788)  0.01
F (0.8261, 0.0761, 0.6523)  0.00
Tb (0.0000, 0.0000, 0.5000)  0.00
F (0.5539, 0.9134, 0.7400)  0.00
F (0.8139, 0.6734, 0.2600)  0.00
F (0.5539, 0.3266, 0.7400)  0.00
Tb (0.5000, 0.0000, 0.5000)  0.00
F (0.1861, 0.3266, 0.7400)  0.00

Output
E: -6.034 eV per atom
Space group: Imma
└──
== Here the article continues ==

Mrs Avison, Senior Leader comments: “By learning and securing this knowledge base, we want our students to increase their confidence, understanding and analysis in lessons. Our Knowledge Organisers are supported by subject specific tasks in years 10-13 to develop the disciplinary elements in each subject.

“Our students have been given extensive coaching on how to carry out the Look, Cover, Write, Check technique by teaching staff and this self-quizzing process is checked each morning.”

Staff are delighted with the positive feedback they have received so far including the engagement of all students and parents in supporting such an important whole school initiative with one parent admitting their son 'had never studied so much at home,' and another praising 'the quality of such an excellent homework resource.’

# Materials data, as found in the file
+++
# 1
Compound: Ba2TlRe
Source: Alexandria via LeMat-Bulk
Functional: SCAN
Structure: PBEsol geometry

Lattice parameters (Å, degrees): 3.675 5.785 5.785 90.33 90.00 90.00
Each line ends with the local moment (μB).
Fractional coordinates of all 4 atoms:
1 Re 0.500 0.000 0.000  1.77
2 Tl 0.500 0.500 0.500  -0.02
3 Ba 0.000 0.000 0.500  0.00
4 Ba 0.000 0.500 0.000  0.00

- total energy (eV per atom) = -54.8502
- ρ (Mg/m³) = 8.98
- formation energy (eV/atom) = 0.79
- D(E_F) (states/eV/cell) = 3.67

=====

# 2
Compound: K2AlNi
Source: Alexandria via LeMat-Bulk
Functional: SCAN
Structure: PBEsol geometry

Lattice parameters (Å, degrees): 3.393 3.393 10.047 90.00 90.00 90.00
Fractional coordinates of all 4 atoms:
1 Ni 0.000 0.000 0.609
2 K 0.000 0.000 0.922
3 K 0.500 0.500 0.328
4 Al 0.500 0.500 0.642

- total energy (eV per atom) = -9.9596
- ρ (Mg/m³) = 2.35
- formation energy (eV/atom) = 0.19
- D(E_F) (states/eV/cell) = 1.68

=====

# 3
Compound: Zr2CdPb
Source: Alexandria via LeMat-Bulk
Functional: SCAN
Structure: PBEsol geometry

Lattice parameters (Å, degrees): 4.365 4.435 4.435 90.00 90.00 90.00
Fractional coordinates of all 4 atoms:
1 Pb 0.500 0.000 0.000
2 Zr 0.000 0.000 0.500
3 Zr 0.000 0.500 0.000
4 Cd 0.500 0.500 0.500

- total energy (eV per atom) = -42.2162
- ρ (Mg/m³) = 9.71
- formation energy (eV/atom) = -0.32
- D(E_F) (states/eV/cell) = 2.28

=====

Version a
VASP calculation (PBE-GGA) on BeAgBi3 after structural relaxation.

Structure (POSCAR):
```
BeAgBi3
1.0
5.500 0.000 0.000
0.000 5.500 0.000
0.000 0.000 5.500
Be Ag Bi
1 1 3
Cartesian
0.000 0.000 0.000
2.750 2.750 2.750
0.000 2.750 2.750
2.750 0.000 2.750
2.750 2.750 0.000
```

Properties
Size of the total moment = 0.00 μB/f.u.
Mass density = 7.4 g cm⁻³
Symmetry = Pm-3m, No. 221
Fermi-level density of states = 0.8766 states/eV/atom

Version b
VASP calculation (PBE-GGA) on BeAgBi3 after structural relaxation.

Structure (POSCAR):
```
BeAgBi3
1.0
5.125 0.000 0.000
0.000 5.125 0.000
0.000 0.000 5.125
Be Ag Bi
1 1 3
Cartesian
0.000 0.000 0.000
2.562 2.562 2.562
0.000 0.000 2.562
0.000 2.562 0.000
2.562 0.000 0.000
```

Properties
Size of the total moment = 0.00 μB/f.u.
Mass density = 9.2 g cm⁻³
Symmetry = Pm-3m, No. 221
Fermi-level density of states = 0.6886 states/eV/atom

It turns out version b is the most stable, with the second structure 542 meV/atom higher.

Version a
VASP calculation (PBE-GGA) on BeAg3Bi after structural relaxation.

Structure (POSCAR):
```
BeAg3Bi
1.0
5.445 0.000 0.000
0.000 5.445 0.000
0.000 0.000 5.445
Be Ag Bi
1 3 1
Cartesian
0.000 0.000 0.000
0.000 2.723 2.723
2.723 0.000 2.723
2.723 2.723 0.000
2.723 2.723 2.723
```

Properties
Size of the total moment = 0.00 μB/f.u.
Mass density = 5.6 g cm⁻³
Symmetry = Pm-3m, No. 221
Fermi-level density of states = 0.0012 states/eV/atom

Version b
VASP calculation (PBE-GGA) on BeAg3Bi after structural relaxation.

Structure (POSCAR):
```
BeAg3Bi
1.0
4.608 0.000 0.000
0.000 4.608 0.000
0.000 0.000 4.608
Be Ag Bi
1 3 1
+++

Alsop students like the idea that they have their ‘homework in one place,' and a resource that enables them to 'study ahead of the lesson,' is improving confidence and knowledge recall and retention. 'Knowledge, Respect and Opportunity' are the three pillars of the Alsop Way. The using of these knowledge organisers ensure students know more, children can go on to improve their life chances, having the confidence and skills to compete with their peers on any future stage.

Mr Chris Wilson, Headteacher writes: “Knowledge Organisers embody our commitment to powerful knowledge here at Alsop High School; they allow our students to learn about the best that has being thought and said. “As a result our students are building the foundations they need through which they will improve their academic outcomes and life chances for years to come. I am extremely proud of these resources and the hard work of students, colleagues and families in making them is a testament to the quality and hard work of Team Alsop.”